Exercise:
What is needed: quote the lines further below up to the one that holds "2.0857 1.0515", that line included.

Excerpt:
+++
A relaxed MoPbF5 crystal. Source: the Alexandria database, functional PBE with a Hubbard U.

Uncorrected energy ... -75.4 eV/cell

a = 6.079 Å, b = 6.079 Å, c = 8.251 Å
α = 109.63°, β = 109.63°, γ = 72.45°
Element x y z (fractional)
Mo (0.000, 0.000, 0.000)
Mo (0.000, 0.000, 0.500)
Pb (0.469, 0.531, 0.750)
Pb (0.531, 0.469, 0.250)
F (0.074, 0.926, 0.750)
F (0.231, 0.234, 0.114)
F (0.234, 0.231, 0.614)
F (0.290, 0.707, 0.462)
F (0.293, 0.710, 0.038)
F (0.707, 0.290, 0.962)
F (0.710, 0.293, 0.538)
F (0.766, 0.769, 0.386)
F (0.769, 0.766, 0.886)
F (0.926, 0.074, 0.250)

=====

Entry 1:
The following is a PBE-GGA calculation of a geometry-optimized BaCrCo2 structure, from the Alexandria database.

POSCAR file:
```
BaCrCo2
1.0
6.2078 0.9553 -0.5736
3.0615 5.4842 0.5736
-4.1500 -3.9174 2.6851
Co Ba Cr
2 1 1
Cartesian
0.7216 1.6628 1.6293
0.3631 0.2522 0.0000
3.7090 0.3808 1.0558
4.9604 3.4461 0.0000
```

Excess energy over the best structure of this formula in the dataset (meV per atom): 321
Symmetry: Imm2



Entry 2:
The following is a PBE-GGA calculation of a geometry-optimized CdOsN2F structure, from the Alexandria database.

POSCAR file:
```
CdOsN2F
1.0
-2.3065 -0.0661 3.0756
2.9242 -1.2410 2.1663
1.1125 4.2366 0.9254
Cd Os F N
1 1 1 2
Cartesian
0.8651 1.4648 3.0836
0.0000 0.0000 0.0000
0.5563 2.1183 0.4627
-1.1532 -0.0330 1.5378
1.4621 -0.6205 1.0831
```

Excess energy over the best structure of this formula in the dataset (meV per atom): 0
Symmetry: P4/mmm



Entry 3:
The following is a PBE-GGA calculation of a geometry-optimized Tb8Er structure, from the Alexandria database.

POSCAR file:
```
Tb8Er
1.0
5.0106 0.0000 0.0000
2.5053 7.5299 0.0000
2.5053 0.0000 7.5299
Tb Er
8 1
Cartesian
5.0106 5.0221 5.0221
2.5053 2.5065 0.0000
2.5053 0.0000 2.5065
2.5053 2.5078 5.0221
5.0106 0.0000 5.0234
5.0106 2.5078 2.5078
5.0106 5.0234 0.0000
2.5053 5.0221 2.5078
0.0000 0.0000 0.0000
```

Symmetry: I4/mmm
E_tot (eV per atom): -4.606



Entry 4:
The following is a PBE-GGA calculation of a geometry-optimized Cr2Pt2Au structure, from the Alexandria database.

POSCAR file:
```
Cr2Pt2Au
1.0
7.4513 0.0000 0.0000
0.0000 7.4513 0.0000
0.0000 0.0000 2.7109
Pt Cr Au
4 4 2
Cartesian
2.4169 1.3087 1.3555
5.0344 6.1426 1.3555
1.3087 5.0344 1.3555
6.1426 2.4169 1.3555
6.6309 4.5461 0.0000
2.9053 6.6309 0.0000
4.5461 0.8204 0.0000
0.8204 2.9053 0.0000
3.7257 3.7257 0.0000
0.0000 0.0000 0.0000
```

Symmetry: P4/mbm
E_tot (eV per atom): -6.851



Entry 5:
The following is a PBE-GGA calculation of a geometry-optimized EuNiAg structure, from the Alexandria database.

POSCAR file:
```
EuNiAg
1.0
-1.8914 -2.8567 1.9521
3.8640 -2.0264 0.7784
-1.5516 2.9931 2.8768
Eu Ag Ni
1 1 1
Cartesian
-1.0072 -0.5844 3.4787
1.7437 -0.8291 1.8030
-0.3155 -0.4765 0.3256
```

Symmetry: P-6m2
E_tot (eV per atom): -6.375



Entry 6:
The following is a PBE-GGA calculation of a geometry-optimized Bi2As2O7 structure, from the Alexandria database.

POSCAR file:
```
Bi2As2O7
1.0
4.8908 0.0713 0.0000
-0.7513 5.9016 0.0000
0.0000 0.0000 11.9450
O As Bi
14 4 4
Cartesian
2.8640 5.6067 11.2508
3.5555 3.7581 3.4818
3.9311 0.8073 2.4908
1.2568 2.5429 2.4477
0.0000 0.0000 5.9725
0.8998 3.3170 5.2783
0.2083 5.1655 9.4543
0.5840 2.2147 8.4633
3.2583 0.4792 8.4202
1.2754 0.3662 0.6943
0.8812 5.4936 3.5248
3.2397 2.6559 6.6668
-0.3757 2.9508 0.0000
2.8826 3.4300 9.4973
0.1718 1.6216 1.3599
4.3433 1.4005 7.3324
-0.2039 4.5724 4.6127
3.9677 4.3512 10.5852
2.4294 1.9706 4.2404
2.0537 4.9213 1.7321
2.0857 1.0515 10.2130
1.7101 4.0023 7.7046
```

Excess energy over the best structure of this formula in the dataset (meV per atom): 0
Symmetry: P2_1/c



Entry 7:
The following is a PBE-GGA calculation of a geometry-optimized BaZnNi structure, from the Alexandria database.

POSCAR file:
```
BaZnNi
1.0
4.3357 0.0000 0.0000
-2.1678 3.7548 0.0000
0.0000 0.0000 4.6720
Zn Ni Ba
1 1 1
Cartesian
0.0000 0.0000 2.3360
2.1679 1.2516 2.3360
0.0000 2.5032 0.0000
```

Symmetry: P-6m2
E_tot (eV per atom): -3.091
+++

Outcome:
A relaxed MoPbF5 crystal. Source: the Alexandria database, functional PBE with a Hubbard U.

Uncorrected energy ... -75.4 eV/cell

a = 6.079 Å, b = 6.079 Å, c = 8.251 Å
α = 109.63°, β = 109.63°, γ = 72.45°
Element x y z (fractional)
Mo (0.000, 0.000, 0.000)
Mo (0.000, 0.000, 0.500)
Pb (0.469, 0.531, 0.750)
Pb (0.531, 0.469, 0.250)
F (0.074, 0.926, 0.750)
F (0.231, 0.234, 0.114)
F (0.234, 0.231, 0.614)
F (0.290, 0.707, 0.462)
F (0.293, 0.710, 0.038)
F (0.707, 0.290, 0.962)
F (0.710, 0.293, 0.538)
F (0.766, 0.769, 0.386)
F (0.769, 0.766, 0.886)
F (0.926, 0.074, 0.250)

=====

Entry 1:
The following is a PBE-GGA calculation of a geometry-optimized BaCrCo2 structure, from the Alexandria database.

POSCAR file:
```
BaCrCo2
1.0
6.2078 0.9553 -0.5736
3.0615 5.4842 0.5736
-4.1500 -3.9174 2.6851
Co Ba Cr
2 1 1
Cartesian
0.7216 1.6628 1.6293
0.3631 0.2522 0.0000
3.7090 0.3808 1.0558
4.9604 3.4461 0.0000
```

Excess energy over the best structure of this formula in the dataset (meV per atom): 321
Symmetry: Imm2



Entry 2:
The following is a PBE-GGA calculation of a geometry-optimized CdOsN2F structure, from the Alexandria database.

POSCAR file:
```
CdOsN2F
1.0
-2.3065 -0.0661 3.0756
2.9242 -1.2410 2.1663
1.1125 4.2366 0.9254
Cd Os F N
1 1 1 2
Cartesian
0.8651 1.4648 3.0836
0.0000 0.0000 0.0000
0.5563 2.1183 0.4627
-1.1532 -0.0330 1.5378
1.4621 -0.6205 1.0831
```

Excess energy over the best structure of this formula in the dataset (meV per atom): 0
Symmetry: P4/mmm



Entry 3:
The following is a PBE-GGA calculation of a geometry-optimized Tb8Er structure, from the Alexandria database.

POSCAR file:
```
Tb8Er
1.0
5.0106 0.0000 0.0000
2.5053 7.5299 0.0000
2.5053 0.0000 7.5299
Tb Er
8 1
Cartesian
5.0106 5.0221 5.0221
2.5053 2.5065 0.0000
2.5053 0.0000 2.5065
2.5053 2.5078 5.0221
5.0106 0.0000 5.0234
5.0106 2.5078 2.5078
5.0106 5.0234 0.0000
2.5053 5.0221 2.5078
0.0000 0.0000 0.0000
```

Symmetry: I4/mmm
E_tot (eV per atom): -4.606



Entry 4:
The following is a PBE-GGA calculation of a geometry-optimized Cr2Pt2Au structure, from the Alexandria database.

POSCAR file:
```
Cr2Pt2Au
1.0
7.4513 0.0000 0.0000
0.0000 7.4513 0.0000
0.0000 0.0000 2.7109
Pt Cr Au
4 4 2
Cartesian
2.4169 1.3087 1.3555
5.0344 6.1426 1.3555
1.3087 5.0344 1.3555
6.1426 2.4169 1.3555
6.6309 4.5461 0.0000
2.9053 6.6309 0.0000
4.5461 0.8204 0.0000
0.8204 2.9053 0.0000
3.7257 3.7257 0.0000
0.0000 0.0000 0.0000
```

Symmetry: P4/mbm
E_tot (eV per atom): -6.851



Entry 5:
The following is a PBE-GGA calculation of a geometry-optimized EuNiAg structure, from the Alexandria database.

POSCAR file:
```
EuNiAg
1.0
-1.8914 -2.8567 1.9521
3.8640 -2.0264 0.7784
-1.5516 2.9931 2.8768
Eu Ag Ni
1 1 1
Cartesian
-1.0072 -0.5844 3.4787
1.7437 -0.8291 1.8030
-0.3155 -0.4765 0.3256
```

Symmetry: P-6m2
E_tot (eV per atom): -6.375



Entry 6:
The following is a PBE-GGA calculation of a geometry-optimized Bi2As2O7 structure, from the Alexandria database.

POSCAR file:
```
Bi2As2O7
1.0
4.8908 0.0713 0.0000
-0.7513 5.9016 0.0000
0.0000 0.0000 11.9450
O As Bi
14 4 4
Cartesian
2.8640 5.6067 11.2508
3.5555 3.7581 3.4818
3.9311 0.8073 2.4908
1.2568 2.5429 2.4477
0.0000 0.0000 5.9725
0.8998 3.3170 5.2783
0.2083 5.1655 9.4543
0.5840 2.2147 8.4633
3.2583 0.4792 8.4202
1.2754 0.3662 0.6943
0.8812 5.4936 3.5248
3.2397 2.6559 6.6668
-0.3757 2.9508 0.0000
2.8826 3.4300 9.4973
0.1718 1.6216 1.3599
4.3433 1.4005 7.3324
-0.2039 4.5724 4.6127
3.9677 4.3512 10.5852
2.4294 1.9706 4.2404
2.0537 4.9213 1.7321
2.0857 1.0515 10.2130